Wanted:
Duplicate the contents further below from the line with "(1.00, -1.46," to the end without additions.
Contents:
~~~
1.
Below is a 2-piece molecular cluster, C5H15NO overall, with properties calculated with ωB97M-V/def2-TZVPD.

Last column: Mulliken spin population.
Positions of all 22 atoms, in Å:
H (-3.16, -0.51, 3.85)  0.000
C (0.68, -1.40, -2.27)  0.008
C (1.00, -1.46, -0.75)  0.008
N (0.13, 0.90, -0.48)  0.779
H (1.15, -0.50, -2.63)  0.000
H (1.44, 2.59, -0.53)  0.004
O (-2.32, -0.96, 3.66)  0.002
H (1.90, -2.03, -0.53)  -0.003
H (0.64, 2.18, 1.02)  0.042
H (-1.44, -0.42, -0.43)  0.009
C (-1.12, 0.45, 0.06)  0.024
H (-1.03, 0.19, 1.12)  0.039
H (-0.38, -1.28, -2.42)  -0.002
H (-0.28, 2.93, -0.35)  0.004
C (1.25, -0.06, -0.22)  0.025
H (-1.93, 1.17, -0.04)  0.003
C (0.53, 2.26, -0.06)  0.019
H (1.35, -0.13, 0.87)  0.032
H (0.22, -1.88, -0.14)  0.003
H (0.97, -2.33, -2.75)  0.000
H (2.14, 0.46, -0.57)  0.004
H (-1.76, -0.18, 3.61)  0.000

Its charge is +1. As for the HOMO energy (alpha / beta): -14.65 / -14.64 eV. Its orbital gap (alpha / beta) is 11.73 / 6.97 eV. The multiplicity is 2.

***

2.
Below is a 2-piece molecular cluster, C5H15NO overall, with properties calculated with ωB97M-V/def2-TZVPD.

Last column: Mulliken spin population.
Positions of all 22 atoms, in Å:
C (-1.72, 1.23, -1.29)  0.000
C (0.41, -1.50, 0.19)  0.021
H (-0.63, -3.37, 0.44)  -0.004
N (-0.56, -0.43, 0.27)  0.760
H (-0.50, -2.40, 2.01)  0.001
H (-1.29, 2.01, -1.92)  0.000
H (0.54, -2.02, -0.81)  0.001
H (2.24, 3.17, -0.61)  0.000
O (2.74, 2.78, 0.11)  0.002
H (-2.16, 1.70, -0.39)  0.000
C (-0.83, 0.03, -1.13)  0.013
H (0.16, 0.04, -1.67)  0.042
H (-0.32, 0.41, 2.32)  0.011
H (0.83, 0.70, 0.87)  0.044
C (-0.16, 0.54, 1.28)  0.030
C (-0.04, -2.69, 1.08)  0.051
H (3.65, 2.69, -0.18)  0.000
H (-1.30, -0.87, -1.55)  0.026
H (1.43, -1.19, 0.37)  -0.002
H (-2.73, 1.00, -1.70)  0.000
H (0.87, -3.32, 1.36)  0.000
H (-0.64, 1.50, 0.94)  0.004

Its charge is +1. As for the HOMO energy (alpha / beta): -14.79 / -14.79 eV. Its orbital gap (alpha / beta) is 12.11 / 7.53 eV. The multiplicity is 2.

***

3.
Below is a 3-piece molecular cluster, C5H15NO2 overall, with properties calculated with ωB97M-V/def2-TZVPD.

Last column: Mulliken spin population.
Positions of all 23 atoms, in Å:
H (2.30, 0.19, -0.81)  -0.238
C (-0.93, 1.09, -0.98)  0.377
C (0.46, -1.07, 1.76)  0.093
C (0.60, 1.47, -1.13)  0.054
C (1.39, 0.53, -0.16)  0.298
H (0.75, 1.35, -2.19)  -0.125
H (-1.42, 1.96, -0.46)  -0.002
H (-1.55, 2.74, 1.73)  -0.007
H (0.84, 2.41, -0.74)  -0.005
H (2.04, 0.92, 0.68)  0.087
H (1.25, -1.76, 1.97)  -0.287
H (0.01, -3.62, -1.73)  -0.283
H (0.62, -0.26, 2.55)  0.014
H (-2.14, 1.41, 2.17)  0.001
N (-0.92, -0.04, 0.08)  -0.060
H (0.73, -1.40, -0.29)  0.715
H (-0.58, -1.63, 2.09)  0.047
C (0.40, -0.57, 0.35)  -0.289
H (-1.47, -0.84, -0.21)  -0.140
H (-1.42, 0.91, -1.89)  -0.094
O (-2.14, 2.31, 2.40)  -0.028
H (1.00, -3.17, -2.79)  -0.438
O (0.19, -2.91, -2.39)  1.309

Its charge is -1. As for the HOMO energy (alpha / beta): 0.87 / -5.66 eV. Its orbital gap (alpha / beta) is 2.61 / 8.99 eV. The multiplicity is 2.

***

4.
Below is a 2-piece molecular cluster, C5H15NO2 overall, with properties calculated with ωB97M-V/def2-TZVPD.

Last column: Mulliken spin population.
Positions of all 23 atoms, in Å:
N (1.02, -0.04, -1.78)  -0.206
H (0.73, 1.30, -3.33)  -0.023
H (2.88, -0.62, -0.97)  0.001
C (-1.42, 0.43, 1.23)  0.852
H (-1.93, -0.32, 1.89)  -0.257
H (-0.61, 1.15, -1.17)  -0.009
H (-0.67, -1.33, -0.14)  -0.115
C (0.58, 0.19, -3.17)  0.113
O (-1.81, -1.51, 6.25)  1.097
H (0.42, -0.84, 1.03)  -0.221
H (3.02, -0.28, -2.63)  0.000
H (1.24, -0.26, -3.83)  -0.018
H (2.72, 1.24, -1.62)  -0.035
H (-0.81, -1.46, 6.43)  -0.273
H (-1.90, -1.82, 5.41)  -0.340
H (0.81, 1.41, -0.24)  0.002
H (-1.07, 1.38, 1.83)  -0.196
C (0.27, 0.60, -0.71)  -0.109
H (-2.90, 0.19, -0.10)  0.134
H (-0.40, -0.05, -3.41)  0.041
C (-0.26, -0.36, 0.37)  0.801
C (2.52, 0.12, -1.68)  0.150
O (-2.44, 0.90, 0.33)  -0.388
~~~
Worked solution:
C (1.00, -1.46, -0.75)  0.008
N (0.13, 0.90, -0.48)  0.779
H (1.15, -0.50, -2.63)  0.000
H (1.44, 2.59, -0.53)  0.004
O (-2.32, -0.96, 3.66)  0.002
H (1.90, -2.03, -0.53)  -0.003
H (0.64, 2.18, 1.02)  0.042
H (-1.44, -0.42, -0.43)  0.009
C (-1.12, 0.45, 0.06)  0.024
H (-1.03, 0.19, 1.12)  0.039
H (-0.38, -1.28, -2.42)  -0.002
H (-0.28, 2.93, -0.35)  0.004
C (1.25, -0.06, -0.22)  0.025
H (-1.93, 1.17, -0.04)  0.003
C (0.53, 2.26, -0.06)  0.019
H (1.35, -0.13, 0.87)  0.032
H (0.22, -1.88, -0.14)  0.003
H (0.97, -2.33, -2.75)  0.000
H (2.14, 0.46, -0.57)  0.004
H (-1.76, -0.18, 3.61)  0.000

Its charge is +1. As for the HOMO energy (alpha / beta): -14.65 / -14.64 eV. Its orbital gap (alpha / beta) is 11.73 / 6.97 eV. The multiplicity is 2.

***

2.
Below is a 2-piece molecular cluster, C5H15NO overall, with properties calculated with ωB97M-V/def2-TZVPD.

Last column: Mulliken spin population.
Positions of all 22 atoms, in Å:
C (-1.72, 1.23, -1.29)  0.000
C (0.41, -1.50, 0.19)  0.021
H (-0.63, -3.37, 0.44)  -0.004
N (-0.56, -0.43, 0.27)  0.760
H (-0.50, -2.40, 2.01)  0.001
H (-1.29, 2.01, -1.92)  0.000
H (0.54, -2.02, -0.81)  0.001
H (2.24, 3.17, -0.61)  0.000
O (2.74, 2.78, 0.11)  0.002
H (-2.16, 1.70, -0.39)  0.000
C (-0.83, 0.03, -1.13)  0.013
H (0.16, 0.04, -1.67)  0.042
H (-0.32, 0.41, 2.32)  0.011
H (0.83, 0.70, 0.87)  0.044
C (-0.16, 0.54, 1.28)  0.030
C (-0.04, -2.69, 1.08)  0.051
H (3.65, 2.69, -0.18)  0.000
H (-1.30, -0.87, -1.55)  0.026
H (1.43, -1.19, 0.37)  -0.002
H (-2.73, 1.00, -1.70)  0.000
H (0.87, -3.32, 1.36)  0.000
H (-0.64, 1.50, 0.94)  0.004

Its charge is +1. As for the HOMO energy (alpha / beta): -14.79 / -14.79 eV. Its orbital gap (alpha / beta) is 12.11 / 7.53 eV. The multiplicity is 2.

***

3.
Below is a 3-piece molecular cluster, C5H15NO2 overall, with properties calculated with ωB97M-V/def2-TZVPD.

Last column: Mulliken spin population.
Positions of all 23 atoms, in Å:
H (2.30, 0.19, -0.81)  -0.238
C (-0.93, 1.09, -0.98)  0.377
C (0.46, -1.07, 1.76)  0.093
C (0.60, 1.47, -1.13)  0.054
C (1.39, 0.53, -0.16)  0.298
H (0.75, 1.35, -2.19)  -0.125
H (-1.42, 1.96, -0.46)  -0.002
H (-1.55, 2.74, 1.73)  -0.007
H (0.84, 2.41, -0.74)  -0.005
H (2.04, 0.92, 0.68)  0.087
H (1.25, -1.76, 1.97)  -0.287
H (0.01, -3.62, -1.73)  -0.283
H (0.62, -0.26, 2.55)  0.014
H (-2.14, 1.41, 2.17)  0.001
N (-0.92, -0.04, 0.08)  -0.060
H (0.73, -1.40, -0.29)  0.715
H (-0.58, -1.63, 2.09)  0.047
C (0.40, -0.57, 0.35)  -0.289
H (-1.47, -0.84, -0.21)  -0.140
H (-1.42, 0.91, -1.89)  -0.094
O (-2.14, 2.31, 2.40)  -0.028
H (1.00, -3.17, -2.79)  -0.438
O (0.19, -2.91, -2.39)  1.309

Its charge is -1. As for the HOMO energy (alpha / beta): 0.87 / -5.66 eV. Its orbital gap (alpha / beta) is 2.61 / 8.99 eV. The multiplicity is 2.

***

4.
Below is a 2-piece molecular cluster, C5H15NO2 overall, with properties calculated with ωB97M-V/def2-TZVPD.

Last column: Mulliken spin population.
Positions of all 23 atoms, in Å:
N (1.02, -0.04, -1.78)  -0.206
H (0.73, 1.30, -3.33)  -0.023
H (2.88, -0.62, -0.97)  0.001
C (-1.42, 0.43, 1.23)  0.852
H (-1.93, -0.32, 1.89)  -0.257
H (-0.61, 1.15, -1.17)  -0.009
H (-0.67, -1.33, -0.14)  -0.115
C (0.58, 0.19, -3.17)  0.113
O (-1.81, -1.51, 6.25)  1.097
H (0.42, -0.84, 1.03)  -0.221
H (3.02, -0.28, -2.63)  0.000
H (1.24, -0.26, -3.83)  -0.018
H (2.72, 1.24, -1.62)  -0.035
H (-0.81, -1.46, 6.43)  -0.273
H (-1.90, -1.82, 5.41)  -0.340
H (0.81, 1.41, -0.24)  0.002
H (-1.07, 1.38, 1.83)  -0.196
C (0.27, 0.60, -0.71)  -0.109
H (-2.90, 0.19, -0.10)  0.134
H (-0.40, -0.05, -3.41)  0.041
C (-0.26, -0.36, 0.37)  0.801
C (2.52, 0.12, -1.68)  0.150
O (-2.44, 0.90, 0.33)  -0.388